Alriiiight! I've survived the first week of classes. Half week. Where the classes were nothing but standard introductory stuff. Yeah, so basically I ain't seen nothin' yet. Which is too bad, because I
almost feel confident about this whole fiasco. I guess I better hold off on making some sort of sitrep for another two weeks until I have a full, proper week under my belt.
But here are some of my notes so far:
-The building is terrible. The layout is bizarre and the design is barren and unwelcoming. And it has HORRIBLE acoustics - rooms upon rooms made of brick and concrete that reveberate sound so that it's near impossible to make out what you're instructor is saying, even though he's 10ft away.
-The 'S' in SAIT stands for 'SCUMBAGS'. They run the campus parking lots, and are charging
EIGHT FREAKIN' DOLLARS A DAY. They say it's to "encourage students to use public transit." Retards. That isn't encouraging public transit, it's just discouraging motorists. Ah, the good ol' "screw the student over at every opportunity" is strong with this one.
-Art History looks to be wildly intruiging. It's too bad I'm not just auditing the course - I get the feeling that it'll be brutal academically.
-Holy crap, I'm definitely at an art school. Piercings, tattoos, multicoloured hair, and more tattoos. None of which look particularly flattering, but that's just me.
-The Beach Boy's 'Surf City' has the lyric "Two girls for every boy". This ain't no sunny resort and that ratio is a bit closer to 2.3. I heard a prof mention that it was around a 70/30 split for female vs male students. I guess those stereotypes about art school are true.
-I've bought roughly $400 worth of school supplies for all of one and-a-half classes. This may get rather expensive rather quickly.
-The professors I've met so far seem pretty intellegent, engaging, and good at what they do (both as a teacher and as a professional in their field). My Media & Digital Technologies prof seems a bit dry, but that's based on one half-class.
And that pretty much sums up Week #1.
[Records of crystals, kept here for reference]
'''
The following is a meta-GGA SCAN calculation of Co2RuBr at its PBEsol-relaxed geometry, from Alexandria via LeMat-Bulk.

a b c (Å): 2.865 4.291 8.488
angles (deg): 90.00 90.00 90.00
Space group Immm (No. 71)
Asymmetric unit:
Co 0.000 0.000 0.237 x4
Ru 0.000 0.500 0.000 x2
Br 0.000 0.500 0.500 x2

Formation energy from raw total energies = 912 meV per atom
Magnetization = 9.286 μB per cell
DOS(E_F) = 5.99 states/eV per cell
Energy above the lowest structure with this stoichiometry = 398 meV/atom
Total DFT energy (no corrections) = -21.3111 eV per atom

=====

The following is a meta-GGA SCAN calculation of MoOsBr at its PBEsol-relaxed geometry, from Alexandria via LeMat-Bulk.

a b c (Å): 6.044 6.044 6.044
angles (deg): 90.00 90.00 90.00
Space group F-43m (No. 216)
Asymmetric unit:
Mo 0.000 0.000 0.000 x4
Os 0.250 0.250 0.750 x4
Br 0.000 0.000 0.500 x4

Formation energy from raw total energies = 1216 meV per atom
Magnetization = 0.001 μB per cell
DOS(E_F) = 10.72 states/eV per cell
Energy above the lowest structure with this stoichiometry = 259 meV/atom
Total DFT energy (no corrections) = -40.8594 eV per atom


# 1
RuS2ClO8 | PBE-GGA | optimized geometry

* E_tot: -5.769 eV per atom
* uncorrected formation energy: -0.848 eV/atom

abc: 8.1115 5.2331 9.4199
angles: 90.00 110.03 90.00
Space group C2/m (No. 12)
Symmetry-distinct sites (fractional):
Ru 0.0000 0.0000 0.0000 [2 per cell]
S 0.0750 0.5000 0.8229 [4 per cell]
Cl 0.0000 0.0000 0.5000 [2 per cell]
O 0.0309 0.2681 0.1607 [8 per cell]
O 0.0999 0.5000 0.6803 [4 per cell]
O 0.2412 0.5000 0.9621 [4 per cell]



# 2
RuSCl2O | PBE-GGA | optimized geometry

* energy relative to the lowest polymorph listed for this composition: 0 meV/atom
* E_tot: -3.690 eV per atom
* uncorrected formation energy: 0.721 eV/atom

abc: 4.7658 4.7658 4.4185
angles: 90.00 90.00 90.00
Space group P4/mmm (No. 123)
Symmetry-distinct sites (fractional):
Ru 0.0000 0.0000 0.0000 [1 per cell]
S 0.0000 0.0000 0.5000 [1 per cell]
Cl 0.0000 0.5000 0.0000 [2 per cell]
O 0.5000 0.5000 0.5000 [1 per cell]



# 3
RuSCl2O | PBE-GGA | optimized geometry

* energy relative to the lowest polymorph listed for this composition: 66 meV/atom
* E_tot: -3.624 eV per atom
* uncorrected formation energy: 0.787 eV/atom

abc: 5.4254 5.4254 3.5366
angles: 90.00 90.00 90.00
Space group P4/mmm (No. 123)
Symmetry-distinct sites (fractional):
Ru 0.0000 0.0000 0.0000 [1 per cell]
S 0.5000 0.5000 0.0000 [1 per cell]
Cl 0.0000 0.5000 0.5000 [2 per cell]
O 0.0000 0.0000 0.5000 [1 per cell]



# 4
SmRuClO4 | PBE-GGA | optimized geometry

* E_tot: -6.789 eV per atom
* uncorrected formation energy: -1.693 eV/atom

abc: 10.4403 7.3400 6.9860
angles: 90.00 105.31 90.00
Space group C2/m (No. 12)
Symmetry-distinct sites (fractional):
Sm 0.2198 0.0000 0.1066 [4 per cell]
Ru 0.1367 0.5000 0.2774 [4 per cell]
Cl 0.0110 0.0000 0.7655 [4 per cell]
O 0.0373 0.5000 0.7704 [4 per cell]
O 0.1962 0.3212 0.1384 [8 per cell]
O 0.2172 0.5000 0.5321 [4 per cell]



# 5
'''

Oh, fun fact: Today is my first anniversary of changing residences. I celebrated by waking up and getting out the door by 8AM, working on a statutory holiday, picking up school supplies and then chugging away at homework for a few hours. I'm such a party animal. Now if you'll excuse me, I need to get ready for class tomorrow and figure out what to do about parking.
Monday MondayCan't trust that day Monday Monday, sometimes it just turns out that way Oh Monday morning, you gave me no warning of what was to be Oh Monday Monday, how yould cou leave and not take meThe Mamas & the Papas - Monday Monday